
Ottawa – City staff will deliver a presentation to residents on the Stage 2 Light Rail Transit (LRT) project and take residents’ questions in an online interactive session. City staff will be available to speak with media following the question-and-answer period with residents. Date: Wednesday, March...

Please join me and my council colleagues at the Hunt Club - Riverside Park Community Centre this Wednesday to watch the live broadcast of the city's Public Information Session on Stage 2 LRT. You will be able to submit questions through the facilitators on site.  Alternately,...

Attached: data records
Starting from a structure optimized by DFT (GGA-PBE), the XRD peak list of ThInTe2N was simulated for Cu Kα (λ = 1.5418 Å).

Principal peaks in the range 10 to 90 degrees two-theta, sorted by position:
- 26.87 deg, d 3.318, rel. 946, hkl 1 0 3
- 30.76 deg, d 2.907, rel. 1000, hkl 1 1 0
- 34.39 deg, d 2.608, rel. 702, hkl 1 0 5
- 44.06 deg, d 2.055, rel. 409, hkl 2 0 0
- 52.36 deg, d 1.747, rel. 308, hkl 2 1 3
- 57.06 deg, d 1.614, rel. 329, hkl 2 1 5

Crystal structure
Lattice parameters (Å, degrees): 4.111 4.111 16.868 90.00 90.00 90.00
Space group P4/nmm (No. 129, origin choice 2)
Inequivalent atoms, fractional coordinates:
Th 0.250 0.250 0.069
In 0.250 0.250 0.650
Te 0.250 0.250 0.405
Te 0.250 0.250 0.819
N 0.250 0.750 0.000

* * * * *

Computed powder diffractogram
Compound: V3OF11
Radiation: copper Kα
Structure: a cell relaxed with GGA+U
Intensities are scaled so that the largest is 1000.

Cell and atoms:
a b c (Å): 5.277 5.467 15.013
angles (deg): 79.67 89.89 89.64
Atoms (fractional coordinates):
V 0.000 0.000 0.000
V 0.022 0.353 0.335
V 0.460 0.118 0.670
V 0.500 0.500 0.000
V 0.540 0.882 0.330
V 0.978 0.647 0.665
O 0.277 0.872 0.690
O 0.723 0.128 0.310
F 0.080 0.040 0.884
F 0.086 0.376 0.218
F 0.087 0.709 0.552
F 0.197 0.689 0.024
F 0.202 0.353 0.693
F 0.236 0.047 0.360
F 0.297 0.544 0.358
F 0.302 0.190 0.022
F 0.411 0.222 0.553
F 0.413 0.876 0.221
F 0.420 0.545 0.884
F 0.580 0.455 0.116
F 0.587 0.124 0.779
F 0.589 0.778 0.447
F 0.698 0.810 0.978
F 0.703 0.456 0.642
F 0.764 0.953 0.640
F 0.798 0.647 0.307
F 0.803 0.311 0.976
F 0.913 0.291 0.448
F 0.914 0.624 0.782
F 0.920 0.960 0.116

Peak list (10 most intense, 2θ = 10–90°, by angle)
| 2θ (°) | intensity |
| --- | --- |
| 18.02 | 1000 |
| 25.07 | 837 |
| 25.21 | 857 |
| 32.76 | 143 |
| 36.50 | 131 |
| 40.43 | 128 |
| 47.76 | 121 |
| 48.09 | 159 |
| 51.76 | 111 |
| 52.31 | 155 |

* * * * *

# 1
# Er5U3N8
Simulated powder X-ray diffraction pattern, Cu Kα (λ = 1.5418 Å). Input: a cell relaxed with GGA-PBE.
Lines closer than 0.1° are merged.

Main lines, by angle (2θ = 10–90°):
31.82 deg, intensity 34
32.03 deg, intensity 100
37.09 deg, intensity 91
53.32 deg, intensity 32
53.60 deg, intensity 31
63.44 deg, intensity 15
63.69 deg, intensity 30
63.82 deg, intensity 15
66.97 deg, intensity 16
88.01 deg, intensity 13

Cell and atoms:
Cell lengths 6.8728, 6.8728, 6.8728 Å; angles 59.68, 59.68, 59.68 degrees
Atoms (fractional coordinates):
Er  0.0000  0.0000  0.0000
Er  0.0000  0.5000  0.5000
Er  0.5000  0.0000  0.5000
Er  0.5000  0.5000  0.0000
Er  0.5000  0.5000  0.5000
U  0.0000  0.0000  0.5000
U  0.0000  0.5000  0.0000
U  0.5000  0.0000  0.0000
N  0.2400  0.7502  0.7502
N  0.2487  0.2487  0.2487
N  0.2498  0.2498  0.7600
N  0.2498  0.7600  0.2498
N  0.7502  0.2400  0.7502
N  0.7502  0.7502  0.2400
N  0.7513  0.7513  0.7513
N  0.7600  0.2498  0.2498

# 2
# YEr4N5
Simulated powder X-ray diffraction pattern, Cu Kα (λ = 1.5418 Å). Input: a cell relaxed with GGA-PBE.

Please find below the City of Ottawa's press release regarding the approval of the Stage 2 Light Rail Transit plan by the Finance and Economic Development Committee today. While I do not sit on this committee, and therefore cannot vote on the plan at this...

TmTeAsO6: theoretical X-ray diffraction stick pattern (copper Kα), based on a structure optimized by DFT (PBE).

Crystal structure
Cell lengths 5.2743, 5.2743, 9.4093 Å; angles 90.00, 90.00, 120.00 degrees
Element x y z (fractional)
Tm: 0.0000 0.0000 0.0000
Tm: 0.0000 0.0000 0.5000
Te: 0.3333 0.6667 0.2500
Te: 0.6667 0.3333 0.7500
As: 0.3333 0.6667 0.7500
As: 0.6667 0.3333 0.2500
O: 0.0284 0.3650 0.1333
O: 0.0284 0.6635 0.3667
O: 0.3365 0.3650 0.3667
O: 0.3365 0.9716 0.1333
O: 0.3650 0.0284 0.6333
O: 0.3650 0.3365 0.8667
O: 0.6350 0.6635 0.1333
O: 0.6350 0.9716 0.3667
O: 0.6635 0.0284 0.8667
O: 0.6635 0.6350 0.6333
O: 0.9716 0.3365 0.6333
O: 0.9716 0.6350 0.8667

The 12 most intense peaks (2θ from 5° to 70°), by angle:
| two_theta | Rel. int. |
| --- | --- |
| 19.43 | 5.3 |
| 21.63 | 5.6 |
| 27.21 | 100.0 |
| 34.00 | 39.7 |
| 38.26 | 7.0 |
| 39.16 | 3.8 |
| 43.26 | 2.2 |
| 44.08 | 26.8 |
| 52.10 | 38.4 |
| 56.80 | 25.6 |
| 60.84 | 13.8 |
| 62.63 | 9.4 |
**The page goes on**

The City of Ottawa has refined its plans to expand the LRT Network to coincide with the opening of the LRT Phase 1 next year. Phase 2 calls for an eastern expansion from Blair Station to Trim Road in Orleans, a western expansion from Tunney’s...

Ottawa – The launch of a process for public feedback on the proposed redevelopment of the Château Laurier was announced today at the City’s Planning Committee. The City has received a Site Plan Control application for the development and that information is now publicly available at...

Ottawa – There are activites for the whole family, and the following service and schedule changes are in place for Family Day on Monday, February 20. Mayor Jim Watson invites residents to join him for the Mayor’s Annual Family Day Skating Party from 11 a.m. to...

The Ottawa Community Housing Corporation (OCH) is proposing the development of an additional 16 units to their existing property at 3225 Uplands Drive (Ashgrove). I would like to thank all residents who came out to the public meeting on February 8 night to learn more about...

February 7, 2017 – The City of Ottawa is warning residents to be vigilant of door-to-door salespeople making false claims about the quality of City drinking water. The City has received complaints from residents who have been contacted by vendors selling water-filtration or treatment systems and...

Thursday, February 23 7:00pm-8:30pm Presenters include: Ottawa Police Services & Crime Prevention Ottawa. Park Place Retirement Residence 120 Central Park Drive – Lower Level City Councillor Riley Brockington invites residents of the Central Park Community to join him for a Community Safety Night on Thursday, February 23rd from 7:00pm-8:30pm at...

February 4, 2017 - Ottawa –City Councillor Riley Brockington brought together young adults from across River Ward on Saturday, February 4, 2017 for the first River Ward Young Adult Summit. Geared towards residents aged 13-20, the Summit provided the attendees with an opportunity to bring...

Ottawa – Get the most out of Winterlude by spending less time driving and more time having fun. Winterlude runs every weekend from February 3 to 20 with many activities happening at or near City facilities. Here are some travel tips to help you get...